Henan patients only have a single kidney and suffer from nephropathy Luo Dashu: Pay attention to diet to prevent nephropathy

Mr. Wu is being treated by Luo Dashu.

Red Net Moment News April 29th (correspondent Liu Xiangyi) Mr. Wu (pseudonym) from Henan is 46 years old this year. In 2008, Mr. Wu often suffered from pain in the left waist and abdomen, and blood during urination. Because of the unbearable pain, he went to the local hospital for examination and found that the left hydronephrosis was serious. Because the left kidney was suffocated, the local doctor advised him to remove the left kidney. Kidneys removed. Therefore, in early June 2008, Mr. Wu underwent a left nephrectomy. After a period of recuperation, he was discharged home.

In the second year, when Mr. Wu was working in another place, he was overworked for a long time and caused stones. He had a stone extraction operation in a stone hospital in another place. After the operation, he was found to have high creatinine and was hospitalized for a period of time. After time, Mr. Wu felt that he had no major problems, so he was discharged from the hospital and continued to work. Later, during the re-examination, it was found that the creatinine had increased a lot. Mr. Wu rushed to Shijiazhuang for treatment, but there was no obvious effect, so he chose to go back to his hometown for treatment. raised again.

-- These records of molecules were left in the article by mistake --
1.
Density functional theory data (wB97M-V/def2-TZVPD) for a molecular structure, C8H17ClINOPRh at a distorted geometry.

```
31
C8H17ClINOPRh | the Open Molecules 2025 dataset | wB97M-V/def2-TZVPD
I 0.503 -2.989 -1.768
Rh -0.014 0.093 0.120
Cl -2.360 0.396 0.446
P -0.149 1.367 -1.629
O 2.920 -0.424 -0.254
N -0.104 -0.279 2.070
C 0.547 0.311 5.499
C -0.490 -0.459 4.640
C -0.788 3.011 -1.168
C 0.112 -4.778 -2.851
C -1.313 0.716 -2.861
C 1.377 1.731 -2.540
C -0.285 -0.366 3.204
C 1.788 -0.175 -0.124
H -1.492 -0.069 4.846
H -1.424 1.448 -3.672
H -0.944 -0.239 -3.251
H 2.096 2.203 -1.861
H 1.823 0.803 -2.913
H 1.551 -0.127 5.382
H 1.158 2.405 -3.379
H 0.654 -5.607 -2.390
H -1.728 2.872 -0.622
H -0.937 3.613 -2.075
H 0.563 1.379 5.234
H -0.478 -1.522 4.914
H -0.965 -4.952 -2.819
H -0.064 3.488 -0.498
H 0.445 -4.621 -3.879
H -2.273 0.533 -2.365
H 0.270 0.241 6.562
```

Its charge is +2. Its multiplicity is 5. The calculation puts the gap between HOMO and LUMO (spin up / spin down) at 5.45 / 4.99 eV. The LUMO energy (spin up / spin down) comes out at -7.2 / -11.6 eV. Its HOMO energy (spin up / spin down) is -12.62 / -16.64 eV.

Atomic partial charges in e from the natural (NBO) method, atoms 1 to 6:
1. I 0.827
2. Rh 0.653
3. Cl -0.214
4. P 1.067
5. O -0.408
6. N -0.562

***

2.
Density functional theory data (wB97M-V/def2-TZVPD) for 2 unconnected molecules or ions with the total composition C8H17ClNO3P at a distorted geometry.

```
31
C8H17ClNO3P | the Open Molecules 2025 dataset | wB97M-V/def2-TZVPD
Cl 0.337 -2.328 -1.693
P 0.137 -1.580 1.044
O -1.194 -1.948 0.777
O -0.132 0.447 0.599
O 0.419 -1.562 2.673
N 0.506 0.288 -1.911
C -1.998 1.685 -0.490
C -1.057 -0.563 4.255
C 2.204 0.684 -3.546
C 0.955 -0.884 -2.261
C 1.315 1.372 -2.421
C -1.455 1.046 0.806
C -0.408 -1.818 3.765
C 2.071 -0.786 -3.258
H -1.390 1.785 1.671
H -2.042 0.842 -1.264
H 0.780 2.114 -2.984
H -3.100 1.997 -0.297
H 0.376 -2.176 4.572
H -1.537 -0.629 5.268
H 1.823 -1.376 -4.171
H 0.010 0.466 -0.411
H 2.989 -1.066 -2.770
H -0.340 0.267 4.537
H -2.255 0.274 1.093
H 3.242 1.095 -3.492
H -1.050 -2.619 3.418
H -1.642 -0.139 3.491
H 1.753 0.807 -4.485
H -1.273 2.418 -0.780
H 1.955 1.888 -1.734
```

The energy above the lowest of the compared OMol25 structures with the same formula, charge and spin is 160.4 kJ/mol. The calculation puts the gap between HOMO and LUMO at 8.99 eV. The LUMO energy comes out at 0.6 eV. Its HOMO energy is -8.38 eV.

Atomic partial charges in e from the natural (NBO) method, atoms 1 to 6:
1. Cl 0.145
2. P 1.581
3. O -1.157
4. O -0.794
5. O -0.852
6. N -0.497

***

3.
Density functional theory data (wB97M-V/def2-TZVPD) for a gas-phase ion, C8H17N2 (charge +1) at a distorted geometry.

```
27
C8H17N2 | the Open Molecules 2025 dataset | wB97M-V/def2-TZVPD
N 0.980 -1.624 0.642
N -1.445 1.070 0.851
C -0.774 0.787 -0.231
C 1.927 -1.332 -0.441
C 0.490 1.531 -0.595
C 2.618 0.016 -0.213
C -1.554 -0.198 -1.052
C -2.561 -0.793 -0.055
C 1.733 1.173 0.267
C -2.698 0.310 1.021

Mr. Wu felt that he must find a better way to treat his kidney disease. He asked around, and finally, through the introduction of a friend, he learned about the Xiangxi Luodashu Shenkang Hospital, which specializes in the treatment of kidney disease, so he rushed from Henan to Xiangxi. Dean Luo Dashu understood his treatment process, and after conducting a series of examinations on Mr. Wu, he said that hydronephrosis could have avoided the need to remove the kidney. Mr. Wu now only has one kidney, and the situation is relatively dangerous, but fortunately, the degree of damage to this kidney is still recoverable.

Mr. Wu actively cooperated with President Luo Dashu’s treatment. During the hospitalization, he took some drugs to protect the kidneys and reduce creatinine. Two months later, Mr. Wu’s creatinine improved significantly, and there was no recurrence of the disease after several re-examinations. Mr. Wu said that he was very grateful to Xiangxi Luo Dashu Shenkang Hospital, President Luo Dashu and all the medical staff.

Luo Dashu reminded that if you want to prevent hydronephrosis, you should drink more water. Water can dilute the urine and prevent the metabolites in the body from forming water. In the diet, pay attention to avoid eating foods rich in oxalate, and also need to maintain a comprehensive balance of dietary nutrition, and appropriately increase the intake of fruits, vegetables, whole grains and cellulose. Patients with hydronephrosis do not need to remove the kidney when it is not necessary, and can go to a regular medical institution for treatment.